Ico Rating
4.7 /5
9.4 /10
4.9 /5
5 /5
About Vege Token
Vege Token Global is The Pioneer Company In The World to Help Farmer using Blockchain technology Vege Token Global helping the farmer.
The Fund from the token sale will help the farmer to open vege shop all across Indonesia and other countries.
Vege Token also offering Security Token Offering (Vege Token with Back Up from the agricultural Business).
Key features of Vege Token.
Strong Community
Vege Token now have the community more than 10.000 Village in 34 Province with more than 200 agricultural Products
Solving small business problems
Vege Token help small farmers to get funding, seed and cost for harvest.
Personal data must be isolated
Vege Token store the database in blockchain and secure for the farmer and Vege Holders.

Why Choose Vege Token?
We believe helping farmers to get funding for their farms will help their productivity and will boost national economy.
Secured Farmers Database.
We protect farmers database and store it in our blockchain and secure apps.
Helping Group of Farmers
Vege Helping the group of farmer to get funding and educate the farmer how to increasing their productivity on farm.
Big Data Insights
All transaction from farmers and token sale will store in blockchain and internal database. With this database Vege team learn how the agricultural business running in one area.
Problem and Challenge
We are creating agricultural transaction and store it in Vege Blockchain. It's big challenge to Vege Company and the management ready for it.
Sustainable Development
Vege Token help the farmer to grow and develop their farms and get better quality of agricultural product. Vege working with Top University in Agricultural Development Program to help the farmers.
- Vege Token Working with Entrepeneur to buy the farmer products and sell it to the market.
- Continue to educate the farmers about good practice of Modern Farming.
- Helping the farmer with high quality fertilizer.
- Connect the farmer with the market directly.
Uneducated Farmer
More than 40 Million of Indonesian farmer are uneducated farmers. Vege Token Academy help the farmer how to implement good farming in Modern era.
Indonesian farmers still do not use agricultural machinery
Indonesia farming area located in the mountain and rural area. This area have the potential but it really hard to use the modern machinery in some rural area.
Difficulties for farmers to enter the market
when harvesting is great, farmers lose money because of low prices in the market.
We are creating apps blockchain based in agricultural business.
Global Single-Platform:
Vege apps will be the Global single Platform for agricultural business. espcially in Indonesia and SE ASIA.
Be Safe and Secure:
using the blockchain technology the vege token apps will be safe and secure to use in the future.
Decentralize Payment Systems
User can use vege token as the decentralize payment systems, fast and secure transactions. Will help the farmer to export their product to other countries.
Blockchain Based DevOps Marketplace
Vege Token also develop the marketplace for vegetable and other agricultural product.
Our Products
Vege Token creating the Blockchain based mobile apps to track the development of the plant and Vege token creating the marketplace for the farmer to sell their product directly to the market.
VEGE Tokens
Our Tokens with a realworld use case created on the blockchain network.
Sales Information
Public Sale Starts | 1st Jan 2023 12:00 GMT |
Public Sale Ends | 30th Jan 2023 12:00 GMT |
Total Token Supply | 900,000 |
Tokens Allocated for STO | 100.000 |
Hard Cap | $9 m |
Soft Cap | $3 m |
Token Value | 1 BNB = 10 VEGE |
Accepted | BNB,USDT |
Token Sale Stage End In
VEGE Tokens
Our Tokens with a realworld use case created on the blockchain network.

Read the Litepaper.
Our main goal is to help Indonesian Farmers to grow their plant, increasing their productivity and helping their economy after Covid-19 Outbreak.
Our Powerful
All-In-One Apps
VEGE Apps is the best apps for the farmers, they can track their plant from the day 1 until harvest time and information about the fertilizer, water conditions, soil humus and conditions.
Why Use Vege Token Wallets?
Safe & Secure
Vege Token Wallet Secure and Safe for crypto transactions. Vege Token wallet also compatible with Trust Wallet, Metamask, Gnosis Wallet, Etc.
Universal and Interactive
Most of the crypto user all over the world already understand how to operate trust wallet, metamask, etc. Vege Token Wallet have the simple design, and easy to use.
Send and Receive
All the Vege user can send and receive their token throught the Vege Token Wallet, Trust Wallet, Metamask, Gnosis Wallet, Etc.

• The article is interrupted by calculated crystals:
~~~
## K2YHgI6 (PBE)

Data for crystalline K2YHgI6 at its relaxed geometry.

```
10
Lattice="-4.512 6.397 4.024 0.133 8.185 -3.236 -7.205 3.354 -3.784" Properties=species:S:1:pos:R:3 pbc="T T T"
I -8.840 9.371 -0.603
I -2.745 8.565 -2.392
I -5.066 11.856 -0.322
I -5.134 7.646 1.343
I -6.519 6.080 -2.674
I -6.451 10.290 -4.338
K -8.688 13.452 -2.246
K -2.896 4.484 -0.749
Y 0.000 0.000 0.000
Hg -5.792 8.968 -1.498
```

Results
SG   No. 225
DFT formation energy   -1306 meV/atom

## Zr2AlSi (PBE)

Data for crystalline Zr2AlSi at its relaxed geometry.

```
4
Lattice="0.239 4.915 2.326 -0.487 -5.207 1.510 3.832 -0.293 0.225" Properties=species:S:1:pos:R:3 pbc="T T T"
Al -0.066 0.658 1.983
Si 1.734 -1.099 1.965
Zr 0.135 3.464 2.209
Zr 1.533 -3.899 1.740
```

Results
SG   No. 38
DFT formation energy   -713 meV/atom

## Na5LaO4 (PBE)

Data for crystalline Na5LaO4 at its relaxed geometry.

```
20
Lattice="5.632 0.000 0.000 0.000 7.677 0.000 0.000 0.000 8.131" Properties=species:S:1:pos:R:3 pbc="T T T"
O 2.498 5.709 4.065
O 3.134 1.870 0.000
O 5.611 0.000 1.958
O 0.021 3.838 6.023
O 5.611 0.000 6.173
O 2.498 1.968 4.065
O 0.021 3.838 2.108
O 3.134 5.806 0.000
Na 1.422 1.846 1.553
Na 1.422 5.831 1.553
Na 4.211 5.684 2.513
Na 1.226 0.000 4.065
Na 4.406 3.838 0.000
Na 1.422 1.846 6.578
Na 4.211 1.992 2.513
Na 4.211 5.684 5.618
Na 4.211 1.992 5.618
Na 1.422 5.831 6.578
La 4.382 0.000 0.000
La 1.250 3.838 4.065
```

Results
SG   No. 59
Energy relative to the lowest polymorph listed for this composition   0.027 eV per atom
DFT formation energy   -2018 meV/atom

## Ho2OsRh (PBE)

Data for crystalline Ho2OsRh at its relaxed geometry.

```
4
Lattice="3.783 -2.496 1.622 -0.616 -4.449 1.731 1.623 -3.793 -2.480" Properties=species:S:1:pos:R:3 pbc="T T T"
Ho 3.593 -8.054 0.655
Ho 1.198 -2.685 0.218
Rh 0.000 0.000 0.000
Os 2.395 -5.369 0.436
```

Results
SG   No. 225
DFT formation energy   -511 meV/atom

## KNdDySbO6 (PBE)

Data for crystalline KNdDySbO6 at its relaxed geometry.

```
10
Lattice="0.000 -4.173 -4.173 4.173 0.000 -4.173 4.173 -4.173 0.000" Properties=species:S:1:pos:R:3 pbc="T T T"
K 2.087 -2.087 -2.087
O 4.173 -2.190 -4.173
O 6.156 -4.173 -4.173
O 4.173 -6.156 -4.173
O 2.190 -4.173 -4.173
O 4.173 -4.173 -6.156
O 4.173 -4.173 -2.190
Nd 6.260 -6.260 -6.260
Sb 4.173 -4.173 -4.173
Dy 0.000 0.000 0.000
```

Results
SG   No. 216
DFT formation energy   -2818 meV/atom

## Na7Sc2Ta2Si5PO24 (PBE)

Data for crystalline Na7Sc2Ta2Si5PO24 at its relaxed geometry.

```
123
Lattice="-4.910 -4.667 -6.115 9.117 -0.257 -0.325 0.011 -18.008 13.738" Properties=species:S:1:pos:R:3 pbc="T T T"
Na 4.239 -22.821 7.297
Na 2.708 -10.952 1.172
Na 6.159 -10.830 7.535
Na -1.711 -15.222 8.004
Na 0.870 -9.254 -2.834
Na 5.547 -13.793 3.666
Na 4.444 -13.662 6.841
Na -0.271 -9.176 0.311
Na 1.104 -18.066 10.514
Na 1.399 -21.211 6.396
Na -0.292 -18.143 7.215
Na 4.382 -4.659 -0.054
Na 1.474 -6.288 1.022
Na -3.051 -7.500 -0.493
Na -4.862 -13.572 0.709
Na -1.343 -8.996 3.723
Na 2.600 -16.621 6.175
~~~

Vege Admin Dashboard
Introducing Complete Admin Dashboard
We designed the VEGE Admin panel to mange back-end of VEGE Token Sales. It’s allows to manage every thing such as KYC, Users, Transaction etc.
- Fully manage KYC application process.
- Online Payment Gateway with Offline Payment option.
- Manage ICO Stage & each stage pricing and bonus option.
- Analytics reports, Token Sales Data and others.
- Newsletter with Emailing options.
- Mobile Friendly and Support all modern browser.
The roadmap to success
What are our major goals?
Our market strategy will prioritise blockchain technology rollout to utilities based on their transformation. View our roadmap to see how exactly we are making that happen.
Vege Token already start to Setup Company and Running Since May 2021 and setup all the preparation.
- MVP of wallet prototype released
- Pre-Sale ICO Starts
- Redesign of website goes live
- Version 2 of Whitepaper released
- Version 3 of Onepager released
Public ICO launch and crowd-sale starts - 5th Januray & Token distribution will commence - 2nd March.
Release our first Vege Token apps for beta testing to our members comunity

Next to the text, the page also holds records of crystals =
Entry 1:
First-principles (PBE with a Hubbard U) data for YCo3Se2ClO8 after structural relaxation, as listed in the Materials Project.

Cell lengths 6.405, 7.232, 9.660 Å; angles 90.00, 90.00, 90.00 degrees
Atoms (fractional coordinates):
O: 0.500 0.576 0.631
O: 0.789 0.264 0.339
Se: 0.500 0.590 0.811
Y: 0.000 0.737 0.000
Co: 0.750 0.000 0.250
O: 0.500 0.576 0.369
Co: 0.250 0.000 0.750
O: 0.789 0.264 0.661
Se: 0.000 0.410 0.689
O: 0.711 0.736 0.839
Se: 0.000 0.410 0.311
Co: 0.000 0.206 0.000
O: 0.289 0.736 0.839
O: 0.211 0.264 0.339
Se: 0.500 0.590 0.189
O: 0.500 0.000 0.636
O: 0.500 0.000 0.364
O: 0.711 0.736 0.161
O: 0.289 0.736 0.161
Co: 0.250 0.000 0.250
Cl: 0.500 0.139 0.000
Cl: 0.000 0.861 0.500
O: 0.000 0.000 0.864
Co: 0.750 0.000 0.750
O: 0.211 0.264 0.661
O: 0.000 0.000 0.136
Co: 0.500 0.794 0.500
Y: 0.500 0.263 0.500
O: 0.000 0.424 0.869
O: 0.000 0.424 0.131

Output
energy of formation: -1.585 eV per atom
magnetization: 2.0 μB per cell
total energy: -179.17 eV/cell

=====

Entry 2:
First-principles (PBE with a Hubbard U) data for Sr2CoCl2O2 after structural relaxation, as listed in the Materials Project.

Cell lengths 8.212, 8.067, 9.286 Å; angles 115.75, 82.88, 75.79 degrees
Atoms (fractional coordinates):
Sr: 0.212 0.045 0.697
O: 0.000 0.128 0.256
Cl: 0.641 0.635 0.090
Sr: 0.787 0.955 0.303
Cl: 0.357 0.616 0.410
Cl: 0.359 0.115 0.410
Co: 0.000 0.000 0.001
O: 0.000 0.622 0.244
O: 0.000 0.503 0.499
O: 0.000 0.247 0.001
Sr: 0.787 0.203 0.803
Co: 0.000 0.750 0.499
Co: 0.000 0.500 0.000
Cl: 0.641 0.385 0.589
Co: 0.000 0.250 0.500
Cl: 0.357 0.867 0.911
O: 0.000 0.997 0.500
Sr: 0.213 0.295 0.197
O: 0.000 0.375 0.750
O: 0.000 0.875 0.750
Cl: 0.359 0.365 0.911
Sr: 0.788 0.705 0.803
Sr: 0.787 0.455 0.303
O: 0.000 0.753 0.000
Sr: 0.213 0.546 0.697
Cl: 0.643 0.134 0.089
Sr: 0.213 0.795 0.197
Cl: 0.643 0.884 0.589

Output
energy of formation: -2.333 eV per atom
magnetization: 0.0 μB per cell
energy above the lowest structure with this stoichiometry: 0.007 eV/atom
total energy: -149.61 eV/cell

=====

Entry 3:
First-principles (PBE with a Hubbard U) data for Sr2CoCl2O2 after structural relaxation, as listed in the Materials Project.

Cell lengths 5.776, 8.259, 5.776 Å; angles 110.48, 90.11, 89.95 degrees
Atoms (fractional coordinates):
Cl: 0.000 0.642 0.821
Sr: 0.500 0.214 0.107
O: 0.250 0.000 0.750
Sr: 0.500 0.786 0.893
O: 0.750 0.000 0.250
Cl: 0.500 0.642 0.321
Sr: 0.000 0.214 0.606
Cl: 0.000 0.358 0.179
O: 0.250 0.000 0.250
Co: 0.500 0.000 0.500
Sr: 0.000 0.786 0.394
Co: 0.000 0.000 0.000
O: 0.750 0.000 0.750
Cl: 0.500 0.358 0.679

Output
energy of formation: -2.340 eV per atom
energy above the lowest structure with this stoichiometry: 0.000 eV/atom
total energy: -74.90 eV/cell

=====

Entry 4:
First-principles (PBE with a Hubbard U) data for Sr2CoCl2O2 after structural relaxation, as listed in the Materials Project.

Cell lengths 5.795, 10.043, 10.042 Å; angles 79.66, 106.15, 73.84 degrees
Atoms (fractional coordinates):
O: 0.378 0.374 0.626
The records of crystals stop here =

>>>>Ni Ketut Kantri>>>>>CEO & Entrepreneur
behind the idea
The Founder
Mrs Kantri is one of the Best Business Woman in Bali, She has experienced on agricultural business for more than 20 Years experience. Now with Vege Token Globak, Mrs Kantri and her team willing to help all the farmers across Indonesia to grow their plant and bring more job opportunities.
Core Team

I Made Yasa
COO & Agricultural Businessman
I Made Yasa has more than a decade experience on agricultural business.
Through vege token he is now helping more farmer to export their agricultural products all over the world.

Mrs Yosefin
CFO & Internal Audit
She is a Great accountant with more than 30 years experience on her field.
Helping Vege Token to grow to a world class company.

I Made Sarjana
Chief Marketing Officer.
He is a great marketer with more than 20 years experience.
I Made Sarjana wellknowns as marketing Guru and help a lot of farmer selling their product to market.

I Ketut Ardana
Drs. I Ketut Ardana.,M.Pd is a lecture in IKIP SARASWATI TABANAN, Bali.
as a professional lecture for many years in university, Mr Ardana help Vege token global as Human Resource Development Department, He help a lot of farmer and agricultural trader to grow and develop their softskills.
Below we’ve provided a bit of ICO, VEGE Token, cryptocurrencies, and few others. If you have any other questions, please get in touch via email.
What is ICO Crypto?
Once ICO period is launched, You can purchased Vege Token with BNB and USDT. You can also buy the token directly to pancakeswap.
What cryptocurrencies can I use to purchase?
You can purchased Vege Token with BNB and USDT.
How can I participate in the ICO Token sale?
Once ICO period is launched, You can participate in the event, remember its limited time for ICO.
How do I benefit from the ICO Token?
Once ICO period is launched, You can get the cheaper price from the vege token, once the price higher then you can sell it or keep holding it.
How Long Vege Token ICO ?
ICO period is launch at 1st of January 2023 - 30 January 2023, You can purchased Vege Token during the ICO Period.
How Much i Can buy Vege Token ?
Decision to buy Vege token is 100% your decision, please DYOR before you buy Vege Token.
Vege Good Investment for Us ?
Vege Token have real project under PT VEGE TOKEN GLOBAL which is the registered company in Indonesia and make sure the project running according to plan.
Any Guarantee for us as the Vege Token Holder ?
our disclaimer already explain, Crypto Activity consider as high risk activity, please do your own research (DYOR) before you buy Vege Token.
How Vege use the Money after selling the token ?
The company will use the fund for helping the farmer and provide liquidity on the market.
Can I sell my vege token after i Buy ?
Yes, you can sell your vege token after buying the token, you can freely sell it to the market.
Why the price of Vege Token will Increasing after listing ?
after listing on Coinmarketcap the price of vege will increase significantly, thats because people can see Vege Token Global have real project to backup the token.
Can I transfer Vege to My Friend ?
Yes, you can transfer vege token to trust wallet, metamask, gnosis wallet or other wallet you use.
Why I have to Buy Vege Token ?
Vege Token have very limited supply that is only 900.000 Vege Token, this will bring the value to Vege Token.
Vege Token have a registered company ?
Yes, vege token under PT Vege Token Global is recognized Company in Indonesia with Official Company Registration
Vege Token have real business ?
Vege token have a lot of real business to help the company have an income in the future.
Can i ask my friends to buy Vege Token ?
Yes, you can referral your link on our website to get more Vege Token into your wallet.